********
*P*
Computed, not measured: the molecule C22H32N2O4, with wB97M-V/def2-TZVPD.

Values from the calculation:
- M (g/mol) = 388.5
- HOMO (eV) = -7.634
- frontier orbital gap (Eh) = 0.307
- SMILES = CCOc1ccc(NC(=O)CN(C)C(=O)C[C@H]2C[C@@H]3CC[C@H]2C3)cc1OCC

Cartesian coordinates (Å):
C  -3.00881  -2.16389  -0.12693
H  3.59591  0.97664  -2.64823
H  -1.37605  -0.94505  -0.96814
H  0.38667  -3.23285  3.38103
O  2.44111  3.37149  -2.17637
C  2.02574  1.30555  0.80980
H  -0.39153  -3.63140  1.85785
H  -3.99886  -2.73996  1.69301
C  0.43659  2.50759  -1.08834
H  0.62169  6.01421  -3.20319
H  -1.22281  1.70855  -0.00646
C  -1.65481  -2.85332  -2.00174
C  1.81513  2.65492  -1.18469
H  -1.30683  -0.25230  4.03299
C  0.64656  1.19177  0.90858
H  1.97107  6.01962  -2.05806
H  2.66598  0.84323  1.54172
H  -2.75197  -4.72943  -2.32263
H  -4.61183  -3.04581  -3.03729
N  0.00679  0.48795  1.93242
C  4.78969  2.16757  -1.30012
C  -2.49246  -4.03787  -1.52313
H  -0.10802  -1.44571  4.60518
H  -2.51022  -3.64317  1.38760
H  5.31947  1.01841  -3.03848
H  -1.18678  -4.04909  3.39479
C  -0.57653  -3.30145  2.88084
H  -2.02942  -4.59085  -0.70784
C  4.59825  0.97232  -2.22708
H  -4.53130  -1.49628  -2.20143
C  0.54534  -0.28291  2.90285
H  -2.51886  -2.65817  -3.98577
H  0.87049  3.55530  -3.51921
N  -1.20512  -1.99899  2.91409
H  -3.55144  -1.21585  -0.12558
C  -2.60133  -2.18614  -3.00639
H  -1.01188  0.50633  1.89331
C  -2.26976  -1.62592  2.17067
C  -1.60072  -1.98634  -0.74001
O  -2.65438  -0.46128  2.17219
C  -3.67015  -3.16736  -1.08594
C  -0.55266  -0.98085  3.72476
C  -0.14733  1.79187  -0.06078
H  -0.21008  2.96580  -1.81924
C  1.68273  4.14710  -3.07869
H  -0.67338  -3.08667  -2.41228
H  5.80946  2.17717  -0.90419
H  4.61006  3.10029  -1.84216
C  2.62489  2.02237  -0.21987
H  4.74123  0.04575  -1.67567
H  2.39167  4.39411  -3.87495
O  1.72430  -0.46970  3.11310
C  -2.97273  -2.66274  1.32415
H  -4.52384  -3.68747  -0.65361
H  0.46452  5.20923  -1.63413
C  -3.99390  -2.42516  -2.38759
O  3.98517  2.08793  -0.13710
C  1.14624  5.43073  -2.45138
H  -0.82408  -2.34698  -0.06393
H  -2.37706  -1.12680  -3.12429


*Q*
Computed, not measured: the molecule C22H32N2O4, with wB97M-V/def2-TZVPD.

Values from the calculation:
- M (g/mol) = 388.5
- HOMO (eV) = -8.444
- frontier orbital gap (Eh) = 0.332
- SMILES = COc1cccc(CNC(=O)[C@H]2CCC(=O)N(CC3CCCCC3)C2)c1OC

Cartesian coordinates (Å):
H  -4.63843  0.39793  3.72184
H  6.05550  2.23734  -3.65311
C  0.07550  -0.29090  -1.69230
C  2.86467  2.11300  -1.47574
H  -1.92947  -2.20255  -1.13926
C  -1.47810  -1.66380  -0.29823
H  0.80041  1.48168  -3.24008
O  -0.83124  0.46825  -1.95679
H  6.04195  3.30297  -1.46162
C  -0.01753  -1.35857  -0.60345
H  -2.00651  -0.70670  -0.20080
C  -3.75802  -1.18348  2.55121
C  4.04083  1.53371  -3.50508
H  -3.62191  -1.84093  3.41218
O  3.96715  3.30704  0.25586
H  2.00293  -0.88329  -2.00706
H  -6.13426  -1.56309  3.90554
C  0.59896  -1.94889  1.71637
H  -2.90096  -3.74513  1.89904
H  -7.00379  -0.19169  3.21081
C  2.88969  1.49724  -2.73256
H  -3.20974  -3.62992  0.14846
H  0.91012  -1.58562  2.69738
H  1.78756  2.85761  1.09476
H  -2.82007  -0.64570  2.39761
H  1.82073  0.40238  -4.23010
H  -6.65840  -1.10296  0.93592
H  5.96134  3.37638  0.82971
C  5.15113  2.80347  -1.80610
C  5.16240  2.19531  -3.04931
H  0.21195  2.80696  0.25583
O  -0.99666  -3.26709  2.88952
H  1.65645  -0.51475  0.49793
H  5.32142  4.87182  0.08690
H  1.45572  3.97323  -0.25418
H  -4.96835  0.50448  1.99055
C  5.08142  4.02023  0.73138
H  -4.17604  -1.37196  0.45131
N  1.26164  -0.28577  -2.33771
H  -7.47358  -2.29138  1.95582
C  -6.53345  -1.75741  1.80195
H  4.04608  1.05410  -4.47202
C  -0.76159  -2.60471  1.89351
C  4.02076  2.76138  -1.00027
C  -4.87890  -0.18751  2.83194
N  -1.65946  -2.46352  0.89433
H  4.79304  4.38502  1.71625
C  1.65169  0.79410  -3.22166
H  -5.32057  -3.43938  2.37237
H  0.06768  0.02818  1.03310
H  0.50075  -2.26555  -0.93172
C  -5.41208  -2.75481  1.52619
********

Your job: restate the lines further up without altering anything.

*P*
Computed, not measured: the molecule C22H32N2O4, with wB97M-V/def2-TZVPD.

Values from the calculation:
- M (g/mol) = 388.5
- HOMO (eV) = -7.634
- frontier orbital gap (Eh) = 0.307
- SMILES = CCOc1ccc(NC(=O)CN(C)C(=O)C[C@H]2C[C@@H]3CC[C@H]2C3)cc1OCC

Cartesian coordinates (Å):
C  -3.00881  -2.16389  -0.12693
H  3.59591  0.97664  -2.64823
H  -1.37605  -0.94505  -0.96814
H  0.38667  -3.23285  3.38103
O  2.44111  3.37149  -2.17637
C  2.02574  1.30555  0.80980
H  -0.39153  -3.63140  1.85785
H  -3.99886  -2.73996  1.69301
C  0.43659  2.50759  -1.08834
H  0.62169  6.01421  -3.20319
H  -1.22281  1.70855  -0.00646
C  -1.65481  -2.85332  -2.00174
C  1.81513  2.65492  -1.18469
H  -1.30683  -0.25230  4.03299
C  0.64656  1.19177  0.90858
H  1.97107  6.01962  -2.05806
H  2.66598  0.84323  1.54172
H  -2.75197  -4.72943  -2.32263
H  -4.61183  -3.04581  -3.03729
N  0.00679  0.48795  1.93242
C  4.78969  2.16757  -1.30012
C  -2.49246  -4.03787  -1.52313
H  -0.10802  -1.44571  4.60518
H  -2.51022  -3.64317  1.38760
H  5.31947  1.01841  -3.03848
H  -1.18678  -4.04909  3.39479
C  -0.57653  -3.30145  2.88084
H  -2.02942  -4.59085  -0.70784
C  4.59825  0.97232  -2.22708
H  -4.53130  -1.49628  -2.20143
C  0.54534  -0.28291  2.90285
H  -2.51886  -2.65817  -3.98577
H  0.87049  3.55530  -3.51921
N  -1.20512  -1.99899  2.91409
H  -3.55144  -1.21585  -0.12558
C  -2.60133  -2.18614  -3.00639
H  -1.01188  0.50633  1.89331
C  -2.26976  -1.62592  2.17067
C  -1.60072  -1.98634  -0.74001
O  -2.65438  -0.46128  2.17219
C  -3.67015  -3.16736  -1.08594
C  -0.55266  -0.98085  3.72476
C  -0.14733  1.79187  -0.06078
H  -0.21008  2.96580  -1.81924
C  1.68273  4.14710  -3.07869
H  -0.67338  -3.08667  -2.41228
H  5.80946  2.17717  -0.90419
H  4.61006  3.10029  -1.84216
C  2.62489  2.02237  -0.21987
H  4.74123  0.04575  -1.67567
H  2.39167  4.39411  -3.87495
O  1.72430  -0.46970  3.11310
C  -2.97273  -2.66274  1.32415
H  -4.52384  -3.68747  -0.65361
H  0.46452  5.20923  -1.63413
C  -3.99390  -2.42516  -2.38759
O  3.98517  2.08793  -0.13710
C  1.14624  5.43073  -2.45138
H  -0.82408  -2.34698  -0.06393
H  -2.37706  -1.12680  -3.12429


*Q*
Computed, not measured: the molecule C22H32N2O4, with wB97M-V/def2-TZVPD.

Values from the calculation:
- M (g/mol) = 388.5
- HOMO (eV) = -8.444
- frontier orbital gap (Eh) = 0.332
- SMILES = COc1cccc(CNC(=O)[C@H]2CCC(=O)N(CC3CCCCC3)C2)c1OC

Cartesian coordinates (Å):
H  -4.63843  0.39793  3.72184
H  6.05550  2.23734  -3.65311
C  0.07550  -0.29090  -1.69230
C  2.86467  2.11300  -1.47574
H  -1.92947  -2.20255  -1.13926
C  -1.47810  -1.66380  -0.29823
H  0.80041  1.48168  -3.24008
O  -0.83124  0.46825  -1.95679
H  6.04195  3.30297  -1.46162
C  -0.01753  -1.35857  -0.60345
H  -2.00651  -0.70670  -0.20080
C  -3.75802  -1.18348  2.55121
C  4.04083  1.53371  -3.50508
H  -3.62191  -1.84093  3.41218
O  3.96715  3.30704  0.25586
H  2.00293  -0.88329  -2.00706
H  -6.13426  -1.56309  3.90554
C  0.59896  -1.94889  1.71637
H  -2.90096  -3.74513  1.89904
H  -7.00379  -0.19169  3.21081
C  2.88969  1.49724  -2.73256
H  -3.20974  -3.62992  0.14846
H  0.91012  -1.58562  2.69738
H  1.78756  2.85761  1.09476
H  -2.82007  -0.64570  2.39761
H  1.82073  0.40238  -4.23010
H  -6.65840  -1.10296  0.93592
H  5.96134  3.37638  0.82971
C  5.15113  2.80347  -1.80610
C  5.16240  2.19531  -3.04931
H  0.21195  2.80696  0.25583
O  -0.99666  -3.26709  2.88952
H  1.65645  -0.51475  0.49793
H  5.32142  4.87182  0.08690
H  1.45572  3.97323  -0.25418
H  -4.96835  0.50448  1.99055
C  5.08142  4.02023  0.73138
H  -4.17604  -1.37196  0.45131
N  1.26164  -0.28577  -2.33771
H  -7.47358  -2.29138  1.95582
C  -6.53345  -1.75741  1.80195
H  4.04608  1.05410  -4.47202
C  -0.76159  -2.60471  1.89351
C  4.02076  2.76138  -1.00027
C  -4.87890  -0.18751  2.83194
N  -1.65946  -2.46352  0.89433
H  4.79304  4.38502  1.71625
C  1.65169  0.79410  -3.22166
H  -5.32057  -3.43938  2.37237
H  0.06768  0.02818  1.03310
H  0.50075  -2.26555  -0.93172
C  -5.41208  -2.75481  1.52619